
mirko mandic
TAMU M.S., Computer Science
mmandic, mirkokrug

I am passionate about designing and developing interactive experiences/artifacts/software that enable humans to effectively and pleasantly participate in the information age today, and the new age that is to come. Our daily interactions with computers result in a constant accumulation of large volumes of data. I believe how these data are represented and interpreted is crucial for understanding our role in this age, our personal histories and our interpersonal relationships. My interests include:
-   Information Visualization, Computational Semiotics
-   Information-based Intimate and Affective Computing
-   Human-Information Interaction, Human-Computer Interaction
-   Design, Usability
-   Computer Graphics, Multimedia

_Records of molecules, as found in the file_
┌──
Record 1
45
Properties=species:S:1:pos:R:3:forces:R:3 method="wB97M-V/def2-TZVPD" lumo_energy_ev=-4.7 total_charge=+1 orbital_gap_ev=6.88 e_tot_ev=-37590.995 relative_energy_ev=0.337 mol_weight_g_mol=381.4 homo_energy_ev=-11.572
F 2.92872 -1.67630 0.10858 0.5 0.1 0.5
C 3.67150 -0.89031 -0.64099 0.4 0.6 -0.6
F 4.62649 -1.52890 -1.27574 -0.6 -0.4 -0.2
C 3.48484 0.41939 -0.80682 -0.3 -0.5 0.2
F 3.90746 0.98298 -1.95960 0.7 0.2 0.2
C 2.83582 1.33717 0.15896 -0.6 -0.3 -0.4
C 1.62035 2.02761 -0.49337 0.6 -0.3 0.9
N 0.70773 0.93183 -0.89340 0.1 1.2 0.0
C 0.56245 0.63268 -2.16557 -0.1 -0.3 -0.8
C -0.24929 -0.41966 -2.57341 0.1 -0.1 0.3
C -0.86887 -1.10586 -1.57345 0.0 0.0 -0.1
C -0.66292 -0.66732 -0.26703 -0.5 -0.6 1.0
N 0.10241 0.32589 0.11576 0.0 -0.2 -0.9
H 2.51770 0.72601 0.99889 -0.1 0.1 0.2
H 3.55947 2.05722 0.53175 0.0 0.2 -0.1
H 1.95135 2.60391 -1.34749 -0.2 -0.1 -0.4
H 1.09698 2.67978 0.19725 -0.2 -0.1 0.1
H 1.09153 1.21961 -2.89620 0.2 0.2 0.1
H -0.35090 -0.69065 -3.60936 0.0 0.1 -0.2
H -1.50294 -1.95679 -1.75938 -0.1 0.0 -0.1
H -1.17581 -1.18402 0.52968 0.0 0.1 0.2
F -0.64720 3.36052 2.03121 0.0 0.0 -0.1
C 0.07839 4.15562 2.85649 0.2 0.2 0.3
C 1.24845 3.66446 3.39873 0.1 -0.3 -0.2
C 1.99803 4.47769 4.23686 -0.1 0.1 0.0
C 1.56399 5.76196 4.52902 0.0 0.0 0.0
C 0.38269 6.23713 3.97647 0.1 -0.1 0.0
C -0.36528 5.43306 3.12928 -0.3 0.0 -0.2
H 1.56508 2.65526 3.16435 0.0 0.0 0.0
H 2.92098 4.10719 4.66168 0.0 0.0 0.0
H 2.14688 6.39262 5.18606 0.0 0.0 0.0
H 0.04116 7.23705 4.20537 0.0 0.0 0.0
H -1.28466 5.78946 2.68379 0.0 0.0 0.0
F -2.63639 -3.08720 -3.22744 0.0 0.0 0.1
C -2.96586 -4.26445 -2.62244 -0.1 -0.3 0.1
C -3.32050 -5.33531 -3.41357 0.0 0.0 -0.3
C -3.65176 -6.53582 -2.80384 0.0 0.1 0.1
C -3.63300 -6.64487 -1.41988 0.0 -0.1 0.0
C -3.27817 -5.55330 -0.64206 0.0 -0.1 -0.1
C -2.93649 -4.35138 -1.24538 0.1 0.2 0.0
H -3.33622 -5.22774 -4.48991 0.0 0.0 0.0
H -3.92574 -7.38742 -3.41069 0.0 0.0 0.0
H -3.89626 -7.58160 -0.94858 0.0 0.0 0.0
H -3.26850 -5.63524 0.43607 0.0 0.0 0.0
H -2.65371 -3.49200 -0.65067 -0.1 0.0 0.0

Record 2
9
Properties=species:S:1:pos:R:3:forces:R:3 method="wB97M-V/def2-TZVPD" lumo_energy_ev="0.3 / -2.5" total_charge=0 orbital_gap_ev="7.67 / 6.96" e_tot_ev=-40158.316 relative_energy_ev=0.356 s2=2.01 spin_multiplicity=3 mol_weight_g_mol=238.1 homo_energy_ev="-7.345 / -9.431"
C -0.92350 -0.19097 0.68733 -0.5 -0.3 0.3
P 0.86950 -1.25289 -1.48293 0.0 -0.4 0.3
S 0.87533 2.30195 0.99498 0.0 0.3 0.1
S 0.22331 -1.44252 0.54077 0.3 0.0 0.1
I -1.97572 -0.00546 2.45269 0.2 0.0 -0.2
H -1.25133 0.40229 -0.14386 -0.1 0.1 -0.1
H 0.50405 0.08880 -1.57167 0.1 0.5 -0.1
H -0.34620 -1.68915 -2.03213 -0.2 -0.1 -0.3
H 2.02456 1.78795 0.55483 0.2 -0.1 -0.1

Record 3
63
Properties=species:S:1:pos:R:3:forces:R:3 method="wB97M-V/def2-TZVPD" lumo_energy_ev="0.1 / 0.1" total_charge=0 orbital_gap_ev="7.05 / 7.15" e_tot_ev=-76898.931 relative_energy_ev=0.000 s2=6.02 spin_multiplicity=5 mol_weight_g_mol=509.6 homo_energy_ev="-6.946 / -7.073"
└──

As a part of my thesis research at interface ecology lab, I designed and implemented a novel, intimacy-based email visualization interface, faMailiar. Traditional email interfaces have gone through very few transformations since their inception. As email data amasses in users' email boxes, these interfaces fail to provide effective message handling and browsing support. Saved email messages provide not only a vast and pulsating record of one's electronic past, but also a potential source of valuable insights into the structure and dynamics of one's social network.

Inserted here: molecular data:
-- begin --
DFT (ωB97M-V with the def2-TZVPD basis set) results for a cluster of 2 separate species, C8H10N4O2 in total in a non-equilibrium geometry.

The geometry in XYZ format:
```
24
C8H10N4O2 | the OMol25 dataset | ωB97M-V with the def2-TZVPD basis set
C -1.79180 1.97425 0.75469
C -0.87418 0.76045 0.61801
C -1.67656 -0.48900 0.22258
C -0.74346 -1.67788 0.10682
N -0.67500 -2.25153 -1.10593
O -0.09963 -2.08562 1.05972
C 0.19489 1.05349 -0.42621
C 1.37004 1.56898 -0.13977
N 2.35528 2.21329 0.09332
C -0.10009 0.76599 -1.76407
N -0.38406 0.45624 -2.83521
H -2.29179 2.17861 -0.19120
H -2.54775 1.79488 1.51626
H -1.21365 2.85189 1.03625
H -0.37625 0.56586 1.57369
H -2.40458 -0.69914 1.00830
H -2.20593 -0.31986 -0.71510
H -1.08167 -1.81693 -1.91770
H -0.00718 -2.99384 -1.24987
H 3.27886 1.83849 0.26138
N 2.60943 -2.03798 0.81638
C 3.15716 -1.10375 0.33243
O 3.85347 -0.27767 -0.09844
H 1.65442 -2.26924 1.04366
```

SMILES string: C[C@@H](CC(N)=O)C(=C=N)C#N.N=C=O
HOMO level: -9.33 eV
Kohn-Sham gap: 0.3657 Ha
total energy: -18513.2748 eV
E_LUMO: 0.62 eV
energy above the lowest of the compared OMol25 structures with the same formula, charge and spin: 0.0 kcal/mol


2 unconnected molecules or ions with the total composition C26H27O2Si in a non-equilibrium geometry, computed with wB97M-V/def2-TZVPD.

Structure (XYZ):
```
56
Properties=species:S:1:pos:R:3:forces:R:3
C 1.887144 2.453236 -1.782609 -0.3 -0.1 -0.1
Si 0.200037 3.119481 -2.222416 0.2 0.9 -0.4
C -0.428229 4.203146 -0.839052 0.1 -0.2 -0.2
C 0.335232 4.135475 -3.784196 -0.1 -0.3 0.4
C -0.987405 1.710604 -2.479899 -0.3 0.1 -0.4
C -0.825258 0.584076 -1.801454 -0.6 -0.3 -0.2
O -2.007040 1.949249 -3.397697 -0.4 -0.8 0.2
C -2.960731 0.912873 -3.585140 0.1 -0.3 0.2
C -4.102558 0.842886 -2.787728 0.8 0.7 0.0
C -4.986920 -0.202875 -2.919077 -0.2 -0.2 -0.1
C -4.753524 -1.194374 -3.852856 -0.1 -0.2 0.0
C -3.636253 -1.130273 -4.663445 -0.3 -0.2 0.0
C -2.750122 -0.085671 -4.535314 0.6 0.9 0.3
H 2.577307 3.278634 -1.637108 0.1 0.1 0.1
H 1.835127 1.871113 -0.867887 0.2 -0.2 0.2
H 2.251382 1.820265 -2.586384 0.1 -0.1 0.0
H 0.270541 5.017552 -0.671725 0.0 0.2 0.1
H -1.397545 4.615631 -1.103153 -0.2 0.1 0.1
H -0.526045 3.623735 0.074288 -0.1 0.0 0.3
H 1.034824 4.950602 -3.622195 0.1 0.2 -0.1
H 0.692647 3.519251 -4.603786 0.0 0.0 -0.2
H -0.634118 4.546809 -4.049149 -0.1 0.1 -0.1
H -1.503511 -0.232096 -1.941730 -0.3 -0.5 0.1
H -0.030473 0.451180 -1.095628 0.4 0.1 0.1
H -4.270003 1.616381 -2.060744 0.0 0.2 0.2
H -5.861156 -0.253663 -2.290038 -0.1 0.1 0.1
H -5.439583 -2.021539 -3.944384 -0.1 -0.1 0.0
H -3.457821 -1.903780 -5.393075 0.1 -0.1 -0.1
H -1.874587 -0.028107 -5.155732 0.3 0.0 -0.2
C 4.755605 -4.981824 2.168320 0.0 0.0 0.0
C 4.835816 -3.920964 1.281885 0.1 0.1 -0.1
C 3.947592 -2.872589 1.368623 -0.4 0.4 0.0
C 2.950504 -2.866255 2.355711 -0.1 -0.5 0.5
C 1.970412 -1.813125 2.529777 -0.8 -0.1 0.9
O 1.072450 -1.998401 3.562798 0.8 1.2 -1.7
C 0.107182 -1.037555 3.795242 -0.2 0.4 -0.1
C 0.018679 0.128264 2.998437 0.3 -0.5 0.1
-- stop --
Here the text continues:

Our visualization approach to email draws upon email’s inherently personal character and uses intimacy as a key parameter. We computationally define intimacy in email domain as a combination of the following two metrics:
- contact intimacy category - a user-defined parameter that describes how intimate the user feels with her email contacts.
- message intimacy weight - a derived parameter, based on message data. Each message is procedurally assigned an intimacy weight rating, as a result of information retrieval analysis of the presence of "intimate" and "anti-intimate" keywords. Forwarded messages and those having more than one recipient are assigned decreasing intimacy weight.

We pursued a multi-dimensional definition of intimacy, one that is consistent with traditional psychology, and developed an experience framework that enables the user to define, quantify, see, filter and understand intimacy of her relationships over time. faMailiar visualizes email in a chronological manner through two alternative, calendar-like views (daily and weekly) that present email activity on different time granularity scales. Visual mappings of email data and support for filtering help the user see rhythms and patterns in her social interactions. Zooming, panning and implicit semantic zooming facilitate navigation across large email collections.

-- Unrelated to this piece: quantum chemistry results --
The following is a DFT calculation (ωB97M-V/def2-TZVPD) of a 12-piece molecular cluster, C78H180N12O12 overall.

```
282
Properties=species:S:1:pos:R:3:forces:R:3
C 15.867521 6.293390 23.686209 -0.3 -0.4 0.3
C 14.336226 6.607036 23.708968 0.6 0.8 0.3
C 13.657971 6.139111 22.400706 0.7 -1.3 1.3
C 13.712599 5.897897 24.943676 -0.8 1.1 -0.1
C 14.131092 6.520370 26.297092 1.2 0.7 -1.2
C 13.760544 8.021492 26.234143 -0.2 -0.1 -0.3
C 14.366918 8.858645 25.051831 1.4 -2.2 0.3
C 13.740354 10.211873 24.935778 -0.1 0.5 0.4
C 15.921853 8.992570 25.362468 -0.9 0.0 -1.4
N 14.023252 8.080697 23.814554 0.3 0.2 0.0
O 14.483079 8.780713 22.624912 -0.7 -0.6 0.8
H 16.017783 5.355329 23.147869 0.1 0.1 -0.3
H 16.474752 7.093456 23.245060 -0.2 -0.3 -0.1
H 16.266351 6.087050 24.696202 -0.2 0.3 -0.4
H 14.228671 6.458552 21.543408 -0.2 0.3 -0.3
H 13.678533 5.034940 22.430581 0.1 0.3 -0.2
H 12.615030 6.411721 22.385090 -0.2 0.5 -0.2
H 12.623154 6.141567 24.893412 0.4 -0.6 -0.2
H 13.857611 4.810605 24.861891 0.0 0.3 0.1
H 13.637555 5.999398 27.109762 -0.1 0.1 0.3
H 15.226538 6.448830 26.462294 -0.5 -0.3 0.0
H 13.943539 8.546952 27.172926 0.3 -0.1 0.1
H 12.690428 8.028729 26.113059 -0.6 0.2 -0.2
H 14.326563 10.858925 24.280621 0.0 0.0 0.1
H 13.701876 10.651671 25.952175 -0.2 0.0 -0.6
H 12.752531 10.123923 24.480128 -0.1 0.0 0.3
H 16.436791 8.054819 25.329613 0.0 -0.6 0.5
H 16.102978 9.505307 26.277352 -0.1 0.2 1.0
H 16.473803 9.582002 24.638974 -0.2 0.4 -0.5
H 15.400119 9.033214 22.760833 0.5 -0.1 0.2
C 8.306071 11.857709 26.882860 0.8 -0.2 2.2
C 8.576180 10.928400 28.154833 -0.1 -0.2 0.2
C 7.191579 10.670904 28.836278 0.0 0.2 -0.8
C 9.173951 9.588532 27.663817 0.0 0.4 0.2
C 10.674677 9.738164 27.353307 -0.4 0.5 -1.0
C 11.514285 10.267134 28.487151 0.4 0.0 0.7
C 10.953614 11.563912 29.031603 -0.8 1.8 -0.2
C 11.603836 11.850452 30.408933 -1.1 0.4 -0.7
C 11.216973 12.849852 28.144076 -0.3 -1.1 0.2
N 9.499916 11.389241 29.248586 -1.2 0.8 0.0
O 8.968795 12.673708 29.728752 0.7 -0.7 -1.2
H 8.075318 12.858968 27.269608 -0.1 -0.2 -0.3
H 9.202853 11.895418 26.283983 0.1 0.1 -0.4
H 7.486038 11.443585 26.314773 -0.2 0.0 -0.1
H 6.546218 11.572942 28.773088 0.3 -0.6 0.0
H 6.743232 9.832618 28.275853 -0.2 0.4 0.1
H 7.232088 10.363301 29.885556 0.4 0.1 -0.2
H 9.008123 8.814334 28.436899 0.1 0.2 -0.3
H 8.612553 9.305452 26.751015 0.3 -0.1 0.4
H 11.044008 8.789513 26.990925 0.2 -0.2 -0.1
H 10.801252 10.489291 26.524880 -0.2 -0.8 0.4
H 12.558562 10.467875 28.160981 -0.5 -0.2 0.1
H 11.585736 9.599811 29.370327 -0.1 -0.2 -0.6
H 12.645476 11.672801 30.225094 0.8 0.2 0.5
H 11.201605 11.215840 31.187111 0.1 -0.6 0.0
H 11.373679 12.866765 30.748473 0.4 -0.1 -0.3
H 10.481012 13.587710 28.471239 0.6 0.2 0.1
H 11.059745 12.745846 27.066029 0.1 -0.4 0.1
H 12.250557 13.133389 28.318306 0.0 0.5 0.0
H 8.598447 12.470207 30.587732 -0.2 -0.4 0.9
C 15.137912 -0.930348 27.142884 0.9 -0.5 0.0
C 16.268479 -1.986049 26.881405 1.6 -0.5 1.1
C 17.476669 -1.785162 27.898820 -0.9 0.8 -0.7
-- The quantum chemistry results stop here --

According to the results of our ecological user study, faMailiar enables the users to experience their email collections and their pasts in new, meaningful ways. Comments, such as “I could see that in past four years I lost many of my personal relationships in favor of school,” illustrate that the participants were gaining striking insights into their lives. The study revealed faMailiar’s potential to improve users’ lives and their overall well-being by enabling them to recognize a personal need to improve intimate relationships.